
"HELL"P ME (A BTS Fanfic)

"It's like we got out of one hell and were put in another." The story of two young girls, Kim Areum and Kim Eun Ae who have seen hell, literally, almost. "I'd rather die than stay here. We are literally their slaves." Saved by a miracle of a chance. "They saved us." "And do I look like I give two shits." By people they have come to despise. This story is a pure work of fiction and relation to any person in real life is merely a coincidence. I do not own BTS. I only own the OC's and the plot so please don't copy. Anyways, don't forget to keep loving yourself and enjoy!!!

Black_Lotus_Queen · ดนตรีและวงดนตรี
7 Chs

Chapter 1

The two girls continued their precious rest and sleep, something which they weren't able to get much of since the time they were there in the disgusting club. Oh, the things they used to do for money were absolutely ridiculous but also very necessary for living. They were still virgins. No clue how but they were. Guess the club owner thought that was too much of a precious asset to sell at a low price and was waiting for the perfect time. Well, looks like he's kinda late.

"Wake the fuck up." Both the girls heard as a bucket of cold water was dumped on both of them.

The girls startled awake and immediately tried to get the water off of their eyes so that they could open them. Eun Ae was on the verge of having a panic attack because of the cold water as she continued gasping for air.

When the girls were finally able to open their eyes, they found themselves on a bed, a wet bed to be specific, and staring up at 3 intimidating men who looked like were just about to kill the girls and not in a simple and polite way. How could killing be polite anyway?

The girls immediately got to their feet and moved back away from the men. They weren't used to all the silent stuff. It was always their "trainer" waking them up with yells of how worthless they are and how they should do at least something productive and be a little useful.

The men filed out of the room with expectations that the girls will follow and they did. The men settled down in the living room, joining 4 others, and the girls followed close behind with hands behind their back, throwing nervous glances at each other.

It was winter time and it was freezing and since the girls were literally dripping wet because of the cold water shower not too long ago, they couldn't stop themselves from shivering and their teeth from chattering. They were already scared and terrified of the men. So much so that they attempted to minimize the sound of their chattering teeth as much as possible by closing their mouths.

"Isn't it only common courtesy to introduce yourself to people who don't know who you are? Or are your parents too busy with counting all the money that they forgot to teach you manners?" One of the men spoke up.

"S-Sorry. I'm Eun Ae, Kim Eun Ae, and I'm 16 years old." Eun Ae said as she tried her best not to stutter. She just figured that these guys were the type who hated when people stuttered too much or who couldn't speak the hell up.

"And I'm Areum. Kim Areum, 18 years old." Areum spoke with as much of a stable voice as she could muster at the moment.

"Since you didn't recognize us by our faces as soon as you saw us, let's just assume that you haven't seen us before, even if that was just a very rare possibility, but we're open to it. Heard of Bangtan before?" One of the men said and the girls immediately went wide eyed as they looked at each other with nothing but fear in their eyes, making the guys smirk.

"When we ask a question we expect a fucking answer." One guy said as he stood up in fury as the girls didn't answer them but just decided to look at the floor which suddenly seemed to be so much more interesting.

The girls flinched visibly and continued to shake as the men turned the temperature of the air conditioner down, making it uncomfortably cooler for the girls to handle.


The girls weren't able to hear a single thing as their heads remained bowed down to the seven guys in front of them. Until...

"You look at us when we speak to you." Eun Ae felt a hand suddenly grab her chin and tilt her head upwards, making the girl look up at the man in front of her.


"Fucking pathetic."

"Makes sense for us to let you know our names at least."

"Are you fucking kidding, hyung? You want to tell these girls our names?"

"Not our real names at least. They need to know who the fuck we are if they're staying here."

"W-We're staying here?" Eun Ae asked with a small voice and she immediately regretting it when a small knife flew right next to her head. She let out a strangled cry of fear and laid her eyes back on the floor.

"Okay fine. I'm RM. The leader. Don't make yourself too comfortable because you'll be thoroughly disappointed if you get your hopes up too high."

"Jesus, hyung. I'm Chim."


"I'm Jin."

"The names V."


"I'm J-Hope."

The girls looked at the men with wide eyes as they waited for them to continue. They were incredibly complient as they waited for the permission to be able to talk. They didn't really feel like risking their life anytime soon.

"We're keeping you here. Whether you like it or not, you're staying. Let's make a few things clear. You go to wherever the fuck you have to in the morning. Let me ask, do you guys have school?" Jin asked.

"N-No." The girls were quick to reply.

"We're getting you into one. Medical school to be precise. I don't care how difficult it will be for you to manage but you have to or there will be serious consequences. You address all of us as 'Sir' and nothing other than that. What else do you know that could potentially be useful to us?" RM said this time.

These calculated crystals were left in the entry by mistake =
~~~
Rb2Cu3P4O12F4: calculated XRD peak list (Cu Kα X-rays), based on a crystal structure in the Materials Project, relaxed with GGA-PBE.
Lines closer than 0.1° are merged.

Top 10 peaks for 10° ≤ 2θ ≤ 90°, most intense first:
2θ/deg, d_spacing, I/Imax, index
31.32, 2.856, 100, 1 3 -1
30.19, 2.960, 57, 0 1 3
27.13, 3.286, 48, 2 1 1
29.71, 3.007, 41, 1 2 2
20.78, 4.274, 38, 0 2 1
11.29, 7.835, 27, 1 0 0
28.33, 3.150, 25, 2 0 -2
25.56, 3.485, 25, 2 1 -1
31.16, 2.871, 23, 2 0 2
55.93, 1.644, 18, 2 2 -5

```
data_Rb2Cu3P4O12F4
_chemical_formula_sum 'Rb4 Cu6 P8 O24 F8'
_space_group_name_H-M_alt 'P 1 21/c 1'
_space_group_IT_number 14
_cell_length_a 7.8697
_cell_length_b 9.6141
_cell_length_c 9.3761
_cell_angle_alpha 90.00
_cell_angle_beta 95.39
_cell_angle_gamma 90.00
loop_
_space_group_symop_operation_xyz
'x,y,z'
'-x,-y,-z'
'-x,y+1/2,-z+1/2'
'x,-y+1/2,z+1/2'
loop_
_atom_site_label
_atom_site_type_symbol
_atom_site_fract_x
_atom_site_fract_y
_atom_site_fract_z
Rb1 Rb 0.1190 0.0397 0.1865
Cu1 Cu 0.3884 0.6456 0.3159
Cu2 Cu 0.5000 0.0000 0.5000
P1 P 0.1877 0.6855 0.0180
P2 P 0.3915 0.1887 0.8881
O1 O 0.1821 0.6686 0.1795
O2 O 0.2315 0.6662 0.4727
O3 O 0.2793 0.5710 0.9421
O4 O 0.4063 0.1594 0.0488
O5 O 0.4439 0.0800 0.7862
O6 O 0.4595 0.1631 0.3542
F1 F 0.0058 0.1640 0.5459
F2 F 0.1872 0.2029 0.8528
```
~~~
End of the calculated crystals =

"I-I've done rhythmic gymnastics for quiet a while. I know martial arts too. I can defend myself pretty well. Enough to get by at least." Eun Ae spoke, her stutter naturally subsiding.

"We've been taught how to use weapons too. All the weapons which have been introduced in the world, we know how to handle ourselves with them." Areum informed.

"That's fine. You guys have much more worth than we thought you would. You would be staying here. You come back here only to rest. We don't know how you will keep yourself alive and frankly we don't care. Just make sure that you're alive." Chim spoke up.

"Do you guys have any combat skills or do you have to have a damn weapon everytime?" Suga asked, seeming bored but really, he was maybe kinda interested. Kinda.

"We don't need one."

"You start school tomorrow. It's a Monday and we're getting you enrolled right now. All the clothes and every essential you need will be your responsibility. Are you able to provide for yourself right now?" RM asked as he took a seat next to Jin.

"We are."

"Get the fuck on it then. I want you guys back in this mansion at sharp 8:00 pm and I won't hesitate to hurt you for you to learn to be punctual. Understood?" RM spoke again.

"Yes." The girls responded as they looked at the watches on their hands and it was 6:58 pm on the dot.

"Yes what?"

"Yes Sir." They corrected themselves.

"It wouldn't be a verbal reminder next time. Now move." As soon as the words left the man's mouth, the girls scrambled and left the mansion.

They were running, not jogging, not walking. Running. They didn't know where they were so they had to figure out a way to get to their very small apartment and back. They weren't planning on just running away and not returning because they wouldn't have a place. Their apartment would be put up for sale since the club was destroyed.

"We need our suitcases. Minimum clothing. All our things which are important. We have the money so let's not be afraid to use it. We need phones. Those people will take it away if they don't want us to have them but we need to get them. We're providing for ourself now so we need a job that pays as well as the last one, Eun Ae. We'll get our things and then search for a similar club like the one we were at before." Areum strategized and Eun Ae nodded. Being the younger one, she didn't really have to use her brain a lot. She was very intelligent but Areum wouldn't let her. She was too precious.

"Let's go."